Your job: count the lines below that contain the word "hartree" and give the number alone.

+++
Molecular formula: C24H53ClIN2O8P2S
Method: DFT, ωB97M-V with the def2-TZVPD basis set

Cartesian coordinates (Å):
C1 -2.17102 6.39338 2.39194
C2 -2.92320 5.11233 2.09489
N1 -2.47339 4.54335 0.77104
C3 -2.28155 3.18965 0.80844
N2 -1.15724 2.58307 1.05390
C4 -1.29915 1.10035 1.06831
Cl1 -1.02471 0.40288 -0.53366
C5 -0.29667 0.55626 2.08834
C6 1.16141 0.53722 1.56990
C7 2.16563 0.63447 2.72153
S1 1.89911 -0.58686 4.04215
C8 -2.78889 1.02426 1.54805
C9 -3.61946 -0.22346 1.25049
C10 -3.92789 -1.27422 2.36287
C11 -5.44107 -1.43326 2.53444
I1 -2.99082 -0.98045 4.26471
C12 -3.32991 2.15543 0.58255
H1 -2.60671 6.86480 3.27261
H2 -1.12208 6.20659 2.62602
H3 -2.25765 7.10581 1.57149
H4 -2.70836 4.39171 2.89016
H5 -3.99930 5.27409 2.09741
H6 -1.58696 4.98754 0.53781
H7 -0.27154 3.04972 1.20962
H8 -0.59078 -0.47054 2.29471
H9 -0.39213 1.17030 2.98650
H10 1.29748 -0.42096 1.06940
H11 1.30221 1.36628 0.86886
H12 3.18124 0.49207 2.36069
H13 2.08109 1.61601 3.19019
H14 0.95200 0.07373 4.72073
H15 -2.92460 1.50613 2.51349
H16 -4.59503 0.13416 0.91731
H17 -3.19031 -0.75014 0.39833
H18 -3.55528 -2.23188 2.00858
H19 -5.70593 -1.94780 3.45419
H20 -5.96521 -0.48260 2.44202
H21 -5.79409 -2.06917 1.71703
H22 -3.28705 1.84691 -0.46304
H23 -4.31497 2.50223 0.88826
O1 2.27505 -6.34859 2.35343
P1 0.86822 -6.33253 1.94890
O2 -0.16005 -6.33228 3.16181
C13 0.01590 -5.39893 4.23444
C14 -0.25005 -3.97443 3.79349
O3 0.42974 -7.70948 1.28398
C15 1.34165 -8.80949 1.17579
C16 1.26833 -9.71273 2.38874
O4 0.22158 -5.35679 0.87955
C17 0.91520 -4.24039 0.28653
C18 2.30267 -4.57942 -0.21920
H24 1.02292 -5.49470 4.64603
H25 -0.68681 -5.69712 5.01066
H26 0.54123 -3.61755 3.13242
H27 -0.28794 -3.30234 4.65054
H28 -1.19837 -3.91186 3.25623
H29 2.35740 -8.44690 1.01753
H30 1.04664 -9.35392 0.27873
H31 1.33504 -9.13239 3.30929
H32 2.08191 -10.43835 2.37357
H33 0.32216 -10.25446 2.40952
H34 0.95568 -3.41647 1.00611
H35 0.28366 -3.91588 -0.53953
H36 2.96258 -4.87230 0.59552
H37 2.74016 -3.71163 -0.71505
H38 2.26053 -5.40523 -0.93005
O5 1.31146 4.90157 -4.86283
P2 1.94841 3.59274 -4.70288
O6 1.04025 2.36375 -5.12769
C19 0.39352 2.36366 -6.41380
C20 1.37438 2.22366 -7.55900
O7 2.07015 3.22654 -3.13707
C21 1.55838 4.10940 -2.15418
C22 0.10737 3.78685 -1.84292
O8 3.40745 3.19639 -5.12834
C23 4.27956 4.01581 -5.95231
C24 4.34441 5.46303 -5.51425
H39 -0.20019 3.27379 -6.52068
H40 -0.29363 1.51982 -6.39659
H41 1.96532 3.13344 -7.68427
H42 0.84222 2.04492 -8.49288
H43 2.05984 1.39506 -7.38045
H44 1.66400 5.14939 -2.46429
H45 2.17922 3.97249 -1.26547
H46 -0.48281 3.69676 -2.75464
H47 -0.33489 4.57417 -1.22401
H48 0.03354 2.83347 -1.31636
H49 3.96523 3.93499 -6.99388
H50 5.25999 3.55159 -5.87634
H51 3.37909 5.95543 -5.61662
H52 5.06484 6.00157 -6.12973
H53 4.65067 5.53652 -4.46978

The value obtained for the HOMO energy is -11.62 eV. As for the molar mass: 754.07 g mol⁻¹. The calculation puts the LUMO energy at -3.599 eV. The multiplicity is 1. The calculation puts the electronic energy at -95143.1729 eV. Its orbital gap is 0.2949 hartree. Its net charge is +1.

***

Molecular formula: C24H53N3NiO7
Method: DFT, ωB97M-V with the def2-TZVPD basis set

Cartesian coordinates (Å):
Ni1 0.48823 -0.78517 0.90856
C1 -2.15127 6.42992 -2.45103
C2 -2.64843 5.04837 -2.92436
C3 -3.68115 5.30538 -4.05917
C4 -2.97448 5.71896 -5.32398
C5 -1.93769 4.66370 -5.84450
C6 -0.90583 4.24681 -4.74401
N1 -1.59438 4.05236 -3.40449
O1 -0.72191 3.61112 -2.36376
C7 0.16254 5.42495 -4.73574
C8 -0.25248 2.91833 -5.28486
C9 -3.54857 4.37927 -1.78744
H1 -2.78048 6.80812 -1.64532
H2 -2.02597 7.19649 -3.21574
H3 -1.21221 6.28456 -1.91705
H4 -4.42352 6.03744 -3.74126
H5 -4.22936 4.38882 -4.27705
H6 -2.41101 6.63904 -5.16891
H7 -3.59840 5.95576 -6.18580
H8 -1.35927 5.03720 -6.68950
H9 -2.50333 3.76963 -6.10678
H10 0.42393 5.72494 -5.75051
H11 0.95961 5.12828 -4.05399
H12 -0.29199 6.34872 -4.37776
H13 0.43989 2.51788 -4.54435
H14 0.37265 3.11778 -6.15522
H15 -0.93198 2.07906 -5.43324
H16 -4.49124 4.89952 -1.61771
+++

1